NCBI Bookshelf. A service of the National Library of Medicine, National Institutes of Health.

Evans I, Thornton H, Chalmers I, et al. Testing Treatments: Better Research for Better Healthcare. 2nd edition. London: Pinter & Martin; 2011.

Chapter 13Research for the right reasons: blueprint for a better future

=====
The following is a quantum chemistry calculation of 2 unconnected molecules or ions with the total composition C29H28BCl4NOSi, from the OMol25 dataset.

```
65
Properties=species:S:1:pos:R:3:forces:R:3
Cl 1.220092 1.437687 -5.389988 -0.219 -0.495 -0.195
B 0.061179 -0.006864 -5.232625 1.019 0.747 -0.980
Cl -0.897072 -0.354126 -6.781798 0.181 0.198 0.712
Cl 0.943821 -1.528184 -4.643247 -0.707 0.596 0.042
O -0.860693 0.576323 -4.058771 -2.064 -1.566 1.174
C -1.977547 0.105598 -3.672938 1.685 0.334 -0.705
C -3.150049 0.010140 -4.531016 -1.583 0.003 -0.810
C -3.703712 -1.259272 -4.823069 0.131 0.302 0.440
C -4.826635 -1.397728 -5.641631 0.130 0.389 -0.182
C -5.502450 -0.248702 -6.073959 1.061 0.276 0.558
Cl -6.987167 -0.375337 -6.923595 -0.040 -0.093 -0.174
C -4.966501 1.023647 -5.817960 -0.007 -0.372 -0.156
C -3.787941 1.151589 -5.086823 0.511 -0.207 -0.010
H -2.015150 -0.276651 -2.632843 -0.051 0.305 -0.334
H -3.196949 -2.125703 -4.397975 -0.231 -0.006 -0.322
H -5.161756 -2.358589 -6.031830 0.064 0.120 0.539
H -5.461621 1.884151 -6.274439 0.233 -0.184 0.395
H -3.354702 2.145575 -4.953052 -0.110 -0.341 0.050
C -2.396172 -0.490588 4.684902 0.205 0.207 -0.157
C -1.163535 -0.833745 5.261015 -0.092 0.067 -0.163
C 0.024622 -0.706765 4.526694 -0.491 0.099 -0.069
C -0.011268 -0.244198 3.197056 -0.106 -0.167 0.272
Si 1.430810 -0.023826 2.034879 -0.516 -0.473 -0.167
C 2.996666 -0.078488 3.050625 0.604 0.227 0.001
C 4.011744 -1.013356 2.774880 0.320 0.110 0.343
C 5.146038 -1.119408 3.593234 -0.060 0.218 0.258
C 5.282312 -0.295350 4.724611 -0.200 0.041 -0.395
C 4.290714 0.664364 4.985417 0.138 -0.201 -0.072
C 3.168775 0.768145 4.155359 0.501 -0.173 0.159
C 1.540962 -1.421443 0.775508 0.252 -0.130 0.340
C 0.778126 -2.597563 0.822521 -0.075 0.148 -0.562
C 0.717518 -3.433595 -0.300737 0.212 -0.043 0.135
C 1.491726 -3.160005 -1.431231 -0.185 0.273 0.185
C 2.327688 -2.043488 -1.434519 0.219 0.053 0.213
C 2.390884 -1.204574 -0.319734 -0.468 -0.297 -0.362
C 1.067139 1.506894 0.928263 1.320 0.153 0.381
C 0.863528 2.881934 1.661886 0.485 -0.011 -0.271
C -0.321290 3.577160 0.944613 -0.348 -0.376 0.131
C -0.550500 2.719587 -0.317355 0.743 0.436 -0.695
N -0.044007 1.372673 -0.009192 -1.045 -0.046 -0.032
C -1.245681 0.101730 2.637582 -0.495 -0.007 0.307
C -2.425657 0.007799 3.375838 0.139 -0.182 0.220
H -3.328564 -0.584020 5.255085 0.458 0.038 -0.193
H -1.131829 -1.184853 6.297060 0.011 0.075 -0.393
H 0.968891 -0.964024 5.008839 -0.166 0.068 -0.205
H 3.935563 -1.674436 1.911847 -0.073 0.157 0.198
H 5.934202 -1.842202 3.344586 -0.414 0.297 0.142
H 6.167671 -0.385084 5.374963 -0.561 0.080 -0.386
H 4.393823 1.340394 5.838070 -0.029 -0.247 -0.253
H 2.423808 1.525150 4.382754 -0.010 -0.075 0.012
H 0.216095 -2.859323 1.722251 -0.038 0.248 -0.322
H 0.051305 -4.296251 -0.294663 0.249 0.097 0.047
H 1.441841 -3.796841 -2.314460 -0.059 0.146 0.240
H 2.914207 -1.800064 -2.314510 0.032 -0.156 0.097
H 3.092067 -0.364663 -0.309056 -0.321 -0.137 -0.162
=====
-- The piece goes on --

Medical research has undoubtedly contributed to better quality of life and increased longevity. Nevertheless, we have illustrated in this book how the existing ‘drivers’ for research – commercial and academic – have not done enough to identify and address patients’ priorities.

Huge sums of money – over $100 billion every year worldwide – are spent on funding medical research.1 However, most of this funding is invested in laboratory and animal studies, rather than in studies that are likely to produce evidence more immediately relevant to patients.

Even when it comes to deciding which questions about the effects of treatments will be studied, patients’ priorities are widely ignored. The drug industry’s financial power means it is very influential in decisions about what gets researched. Because industry can pay handsomely (thousands of pounds/dollars) for each patient recruited to its clinical trials, academics – and the institutions they work in – too often take part in clinical trials that address questions of interest to industry rather than to patients.

Regrettably, much of the money spent on medical research is wasted at successive stages – by asking the wrong research questions; by doing studies that are unnecessary or poorly designed; by failing to publish and make accessible the research results in full; and by producing biased and unhelpful research reports. This should matter to everyone – researchers, research funders, clinicians, tax payers, and above all patients.

Before setting out our blueprint for a better future, we briefly outline why, if research is to be better, it is vitally important to:

  1. Ask the right research questions
  2. Design and conduct research properly
  3. Publish all the results and make them accessible
  4. Produce unbiased and useful research reports
How the money spent on medical research is wasted at successive stages.

The article is interrupted by quantum chemistry results:
'''
Entry 1:
Density functional theory data (the ωB97M-V functional and the def2-TZVPD basis) for a gas-phase ion, C8H12BrN2OS (charge +1).

The geometry in XYZ format:
```
25
Properties=species:S:1:pos:R:3:nbo_charge:R:1
C -1.3827 -1.5624 1.4434 0.27
C -0.6209 0.3631 0.2628 0.15
C -0.8228 1.6273 -0.4043 -0.46
C 0.7787 -0.0056 0.4854 -0.46
C 0.1891 1.5677 -1.5842 -0.34
C 1.2210 -1.3233 -0.2052 0.01
C 0.4871 2.8373 -2.3188 -0.63
C -0.0680 -3.5275 1.8776 -0.41
N -0.3081 -2.1759 1.2421 -0.38
N -1.5986 -0.2735 0.8197 0.10
O -2.7694 0.1421 0.8370 -0.47
S 1.6513 1.0594 -0.6905 0.42
Br 0.2958 -1.9378 -1.7135 0.26
H -2.1931 -1.9838 2.1281 0.24
H -1.8456 1.4924 -0.8570 0.28
H -0.5429 2.5616 0.1427 0.26
H 1.1818 0.0755 1.4705 0.28
H -0.2955 0.8057 -2.2655 0.24
H 2.2778 -1.6407 -0.0498 0.25
H -0.4537 3.3231 -2.5073 0.24
H 0.9597 2.7496 -3.3591 0.25
H 1.0713 3.4535 -1.7210 0.22
H -1.0909 -3.9147 2.4232 0.22
H 0.7213 -3.3373 2.5830 0.23
H 0.2324 -4.0590 1.0011 0.23
```

Calculated values
Total energy (eV): -94383.679
Orbital gap (alpha / beta) (eV): 7.2 / 7.2
Charge: +1
E_HOMO (alpha / beta) (hartree): -0.4640 / -0.4640
E_LUMO (alpha / beta) (eV): -5.4 / -5.4
Energy relative to the best compared isomer or geometry (same formula, charge and spin) (kJ/mol): 74.9


Entry 2:
Density functional theory data (the ωB97M-V functional and the def2-TZVPD basis) for a single C20H21N5O4 molecule.

The geometry in XYZ format:
```
50
Properties=species:S:1:pos:R:3:nbo_charge:R:1
C 1.6803 4.3288 1.4695 -0.64
C 0.7020 3.3371 2.0906 -0.06
O -0.3018 2.9196 1.1861 -0.50
C 0.0091 2.0487 0.1936 0.34
C 1.1998 1.3690 0.0532 -0.28
C 1.3882 0.4558 -0.9936 -0.12
C 0.3652 0.2494 -1.9127 -0.17
C -0.8364 0.9214 -1.7824 -0.29
C -1.0339 1.8122 -0.7388 0.27
O -2.1891 2.4886 -0.4918 -0.48
C -3.3354 2.1743 -1.2474 -0.16
C -3.7862 0.7068 -1.1330 0.65
O -4.4822 0.1962 -1.9817 -0.60
N -3.3252 0.1091 -0.0129 -0.63
C -3.3015 -1.2595 0.2825 0.16
C -4.2089 -2.1665 -0.2361 -0.22
C -4.1099 -3.5086 0.0965 -0.23
C -3.1105 -3.9393 0.9461 -0.21
C -2.1920 -3.0395 1.4690 -0.29
C -2.2756 -1.6973 1.1415 0.27
O -1.4212 -0.7172 1.5812 -0.52
C -0.3326 -1.0906 2.3885 -0.25
H 0.2078 -0.1683 2.5938 0.20
H 0.3304 -1.7881 1.8675 0.18
H -0.6643 -1.5346 3.3322 0.18
H -1.4140 -3.3990 2.1236 0.22
H -3.0315 -4.9832 1.2091 0.21
H -4.8183 -4.2128 -0.3108 0.22
H -4.9763 -1.8157 -0.9054 0.25
H -2.7275 0.6572 0.5950 0.43
H -4.1261 2.8166 -0.8481 0.23
H -3.2063 2.4121 -2.3104 0.21
H -1.6226 0.7318 -2.4957 0.23
H 0.4986 -0.4462 -2.7272 0.22
C 2.6252 -0.2748 -1.1121 0.11
N 3.5596 -0.1222 -0.2568 -0.25
N 4.7178 -0.8071 -0.3507 -0.22
C 5.1945 -1.7484 -1.2282 0.11
N 6.3865 -2.1154 -0.8803 -0.27
N 6.7330 -1.4329 0.2286 -0.28
C 5.7454 -0.6585 0.5429 0.16
H 5.7047 0.0139 1.3734 0.21
H 4.6632 -2.1279 -2.0752 0.21
H 2.7006 -0.9577 -1.9622 0.17
H 2.0158 1.5004 0.7435 0.24
H 1.2352 2.4723 2.5056 0.17
H 0.1465 3.8198 2.8990 0.20
H 2.3852 4.6675 2.2236 0.22
H 2.2312 3.8728 0.6508 0.21
H 1.1367 5.1871 1.0831 0.22
```

Calculated values
'''

How the money spent on medical research is wasted at successive stages.1

  1. Ask the right research questions
    Sometimes doctors do not know which treatment is likely to be best for their patients because the available options have not been properly studied. Such studies, which can have important implications for patient care, may be of little or no interest to industry or academia so important questions remain unanswered. And not answering these questions can lead to immense harm. Take one example – whether steroid drugs given to people with brain damage as a result of physical injury increase or decrease their chances of survival. Steroids were used for decades before a well-designed study showed that this established treatment had probably been killing thousands of patients with brain injury.2 Proposals for this study were initially opposed by industry and some university researchers. Why? They were engaged in commercial trials assessing the effects of expensive new drugs (so-called neuroprotective agents) on outcome measures of questionable importance to patients, and they did not wish to face competition for participants.
    Another reason for tackling these unanswered questions is to help ensure that the precious resources available for healthcare are not being wasted. When human albumin solution, given as an intravenous drip, was introduced during the 1940s to resuscitate burned and other critically ill patients, theory suggested that it should reduce their chances of dying. Amazingly, this theory was not subjected to fair tests until the 1990s. At that point, a systematic review of the relevant randomized trials could find no evidence that human albumin solution reduced the risk of death compared with simple salt solutions. What the systematic review showed, in fact, was that if albumin had any effect on death risk it was to increase it.3 The findings in this review prompted doctors in Australia and New Zealand to get together to do the first sufficiently large fair comparison of human albumin solution with saline (salt water), an alternative resuscitation fluid.4 This study – which should have been done half a century earlier – could find no evidence that albumin was better than salt water. Since albumin is about 20 times more expensive than saline, huge sums of money from healthcare budgets worldwide must have been wasted over the past 50 years or so.
  2. Design and conduct research properly
    Stimulated by surveys revealing the poor quality of many reports of clinical trials, reporting standards have been developed and applied. Such standards make clear how many patients have been asked to participate in a study and how many declined the invitation. Results are presented according to the various treatment groups selected at the outset. But there is still a long way to go to improve: (a) the choice of questions being addressed in research; (b) the way that these questions are formulated to ensure that the outcomes of treatments chosen for assessment are those that patients regard as important; and (c) the information made available to patients. (See Chapters 11 and 12.)
    To see whether a proposed trial might be feasible and acceptable, exploratory work involving groups of patients can be useful. This may highlight shortcomings in the design plans; or help to define outcomes that are more relevant; or even suggest that the concept is a non-starter.5, 6
    This can save a lot of time, money, and frustration. The clinical trial in men with localized prostate cancer that we described in Chapter 11 (p140–141) showed how the research design was improved by careful consideration of the terms used by clinicians to describe the trial’s purpose and the treatment options. Exploration of patients’ views led to an acceptable study because the concerns and information needs of the men being invited to participate had been identified, and the information provided to potential participants took account of these findings.7
  3. Publish all the results and make them accessible
    Selective reporting of the results of research can lead to serious biases. Some ‘negative’ studies are never published when the results do not match the expectations of the investigators or funders. Without a published report to tell the tale, these trials disappear without trace.8 Furthermore, results within published trials may be selectively reported – that is, some of the results are excluded because they are not so ‘positive’ for the treatment being tested.9 Patients have suffered and died because of biased reporting of research on the effects of treatments. This practice is unethical as well as unscientific.
  4. Produce unbiased and useful research reports
    Even when studies are published, they often omit important elements that enable readers to assess and apply the findings. One review of 519 randomized trials published in reputable journals during December 2000 found that 82% did not describe the process of allocation concealment and 52% did not provide details of measures to reduce observer biases – both features that we suggested in Chapter 6 were crucial to good studies.10 This poor reporting of details extends even to the description of the treatments used. A trial showing that giving a specific booklet (compared with no booklet) helped patients with irritable bowel syndrome, omitted to describe the contents of the booklet or how to obtain it; the ‘treatment’ could therefore not be used by any other patients or doctors. This was just one example in an analysis of trials in major journals that found about a third omit such crucial details.11
    Finally, most published trials do not set their results in the context of previous similar trials. Without this key step, as we explained in Chapter 8, it is impossible to know what the results actually mean. Four-yearly checks of randomized trials reported in five major medical journals over a period of 12 years – 1997–2009 – illustrate the extent of the problem. Overall, only 25 of 94 (27%) reports made any reference at all to systematic reviews of similar trials. Only 3 of 94 reports actually contained updated reviews integrating the new results, and so showing what difference the new results had made to the totality of evidence. Sadly, there was no evidence of improvement in reporting practice with the passage of time.12 This failure can lead to clinicians using different treatments depending on which journals they happen to read.


Medical research could be done for the right reasons and could be done and reported well. Taken individually, none of the suggestions that follows is novel. Taken together and promoted jointly by patients and clinicians, our eight action points constitute a blueprint for a better future in the testing and use of treatments.

  1. Increase general knowledge about how to judge whether claims about treatment effects are trustworthy
    A condition for change is greater public awareness of the ways in which bias and the play of chance can seriously distort evidence about the effects of treatments. One of the most important features of scientific investigation – recognizing and minimizing bias – can hardly be regarded as ‘general knowledge’ at present. We need more determined efforts to reduce these important gaps in understanding, and to make these concepts a routine part of education, from school age onwards.
  2. Increase the capacity for preparing, maintaining, and disseminating systematic reviews of research evidence about the effects of treatments
    Many of the answers to questions about the effects of treatments can be readily addressed by systematically reviewing evidence that already exists, by keeping such reviews up to date, and by disseminating the results efficiently to professionals and patients. There is a long way to go before the messages from existing evidence are readily available in systematic reviews. Addressing this deficiency should be one of the prime goals of health systems, so that reliable information about the effects of treatments is synthesized and made readily accessible.
  3. Encourage honesty when there are uncertainties about the effects of treatments
    Admitting uncertainty is often hard for health professionals, and it is sometimes not welcomed by patients. As a result, patients are sometimes given a false sense of security and are not informed about the uncertainties in the evidence. If clinicians and patients are to work together successfully for more efficient assessment of treatment effects, both must be more ready to acknowledge that inadequately evaluated treatments can do substantial harm; they must become more familiar with the methods needed to obtain reliable evidence. We need to find the best ways of making this happen.
  4. Identify and prioritize research addressing questions deemed important by patients and clinicians
    The portfolios of research funders and academic institutions are dominated by basic research that is unlikely to benefit patients in the foreseeable future, and by research directed at maximizing profits for industry. Applied research into questions that offer no potential to make money, yet matter to patients, has to fight for resources, even when it is publicly supported. We should see to it that more is done to identify what questions patients and clinicians are asking about the effects of treatments, and that research funders take account of them in prioritizing research to reduce these uncertainties.
  5. Confront double standards on consent to treatment
    Clinicians who are prepared to admit uncertainties about the effects of treatments and address them in formal treatment comparisons are subject to more stringent rules for interacting with patients than are their colleagues who are not. This perverse double standard is illogical and indefensible. When there are uncertainties about treatment effects, participation in randomized trials or other methods of unbiased evaluation should be the norm. We should ensure that participation in research on treatment effects is not presented as a necessarily risky endeavour, implying that ‘standard’ practice is always effective and safe.
  6. Tackle inefficiencies within the research community
    Many people are astonished to find that researchers are not required to assess systematically what is known already when they seek funding and ethical approval for new research. The consequence is inevitable – poorly designed and frankly unnecessary research continues on a scale that is unacceptable on ethical as well as scientific grounds. We should press research funders and research ethics committees to ensure that researchers do not embark on new research of any kind without referring to systematic reviews of existing relevant evidence. Reports of new research should begin by referring to systematic reviews showing why the additional research is needed, and end by showing what difference the new results have made to the totality of evidence.
  7. Outlaw biased publication practices
    To help stamp out biased publication practices steps are needed both when trials begin and when they end. When trials begin they should be registered and the protocols made publicly available for scrutiny. On completion, the results of all trials should be published and the raw data made accessible for scrutiny and further analysis.
  8. Demand transparency of information about commercial and other conflicts of interests
    There is now substantial evidence that vested financial and other interests sometimes take precedence over the interests of patients in the design, conduct, analysis, interpretation and use of research. This jeopardizes the mutual trust required to ensure that research serves the interests of patients more effectively. Everyone involved, from commercial companies to patient pressure groups, should be required to be transparent about any vested interests other than the well-being of patients.

Action is needed now

A revolution in testing treatments is long overdue. If professionals and patients act together, the steps that we advocate are eminently practicable. You, the readers, should demand change – now.

Quantum chemistry results that have nothing to do with the text.
- - -
A structure of composition C28H42BrN3P2Pb at a distorted geometry, computed with the ωB97M-V functional and the def2-TZVPD basis.

Element x y z (Å)
C  3.798  -0.962  3.746
C  4.518  -0.739  2.553
C  4.884  -1.842  1.774
C  4.232  -3.054  2.015
N  3.395  -3.203  3.042
C  3.189  -2.207  3.905
C  4.767  0.579  2.046
C  4.563  1.716  1.621
C  3.654  2.736  1.205
C  2.732  3.330  2.107
C  1.487  3.788  1.604
C  1.232  3.631  0.256
C  2.247  3.378  -0.656
C  3.507  2.948  -0.184
Pb  -1.054  3.479  -0.946
P  -0.556  -1.791  0.695
H  5.590  -1.728  0.959
H  3.648  -0.161  4.466
H  4.426  -3.907  1.361
H  2.538  -2.394  4.761
H  4.317  2.740  -0.904
H  2.925  3.337  3.181
H  2.078  3.504  -1.726
H  0.716  4.179  2.283
C  -2.173  -2.560  0.213
C  -2.287  -4.080  0.201
H  -2.389  -2.158  -0.793
H  -2.940  -2.144  0.881
H  -3.284  -4.368  -0.164
H  -1.544  -4.547  -0.458
H  -2.193  -4.516  1.207
C  0.751  -3.038  0.217
C  1.016  -4.225  1.133
H  1.661  -2.423  0.175
H  0.562  -3.382  -0.811
H  1.726  -4.917  0.646
H  1.506  -3.910  2.067
H  0.113  -4.814  1.371
C  -0.552  -1.792  2.550
C  -1.295  -2.909  3.278
H  -1.013  -0.824  2.820
H  0.494  -1.751  2.894
H  -1.298  -2.702  4.358
H  -2.342  -2.965  2.956
H  -0.816  -3.890  3.149
Br  -2.395  3.617  -3.207
P  0.134  -0.573  -3.328
C  0.267  -2.356  -3.716
C  -0.150  -2.743  -5.115
H  -0.394  -2.836  -2.978
H  1.282  -2.692  -3.475
H  -0.170  -3.832  -5.191
H  -1.154  -2.381  -5.341
H  0.532  -2.353  -5.872
C  -0.857  0.219  -4.677
C  -0.169  0.809  -5.893
H  -1.428  1.004  -4.152
H  -1.565  -0.543  -5.005
H  -0.927  1.323  -6.497
H  0.590  1.544  -5.608
H  0.309  0.079  -6.557
C  1.831  0.188  -3.529
C  2.727  -0.433  -4.589
H  2.301  0.142  -2.530
H  1.660  1.254  -3.756
H  3.708  0.056  -4.528
H  2.872  -1.512  -4.429
H  2.324  -0.257  -5.595
N  -4.701  3.597  0.692
C  -5.245  2.494  0.031
C  -4.186  1.674  -0.269
N  -3.003  2.303  0.128
C  -3.369  3.438  0.761
H  -5.227  4.407  1.033
H  -6.299  2.371  -0.181
H  -4.195  0.684  -0.713
H  -2.740  4.141  1.298

Computed properties:
**HOMO (spin up / spin down)**: -18.2 / -18.2 eV
**Charge**: +4
**Lowest unoccupied orbital energy (spin up / spin down)**: -14.761 / -14.763 eV
**Calculated total energy**: -128007.74664 eV
**Energy relative to the best compared isomer or geometry (same formula, charge and spin)**: 3.295 eV
**Orbital gap (spin up / spin down)**: 0.1259 / 0.1256 Ha

Results of the Mulliken charge analysis, in e, for atoms 1 through 2: -0.23 0.77

A structure of composition C28H42CdN12PS2, computed with the ωB97M-V functional and the def2-TZVPD basis.

Element x y z (Å)
Cd  0.568  -0.307  -0.689
N  3.290  -0.349  0.552
C  3.747  -1.672  0.114
C  2.632  -2.716  0.190
N  1.552  -2.491  -0.787
C  1.653  -3.307  -2.017
C  2.688  -2.875  -3.034
N  2.262  -1.672  -3.757
H  3.626  0.384  -0.060
H  3.642  -0.142  1.475
H  4.587  -2.031  0.713
H  4.102  -1.601  -0.914
H  2.207  -2.682  1.197
H  3.069  -3.709  0.042
H  0.659  -2.768  -0.370
- - -
Back to the text.


Identify questions about the effects of treatment that are important to you.

Learn to recognize uncertainty; speak up; ask questions; seek honest answers.

Don’t be afraid to ask your doctor what treatments are available; what may happen if you choose a particular treatment; AND what might happen if you don’t.

When thinking about possible treatments, you may find the information on decision aids at helpful. See also: Additional Resources (Do you want to know more about shared decision-making?)

Use reliable websites such as NHS Choices ( See: Chapter 12 and the Additional Resources section in this book.

Be a healthy sceptic about unfounded claims and media reports of treatment ‘breakthroughs’; about the way that ‘numbers’ are reported in the media – especially large numbers in headline claims!

Challenge treatments offered to you or your family on the basis of beliefs and dogmas, but unsubstantiated by reliable evidence.

Be wary of unnecessary disease ‘labelling’ and over-investigation (see Chapters 2 and 4) – find out if the disease in question is considered high risk or low risk for you. Ask what would happen if nothing immediate is done.

Agree to participate in a clinical trial only on condition (i) that the study protocol has been registered and made publicly available (ii) that the protocol refers to systematic reviews of existing evidence showing that the trial is justified; and (iii) that you receive a written assurance that the full study results will be published, and sent to all participants who indicate that they wish to receive them.

Encourage and work with health professionals, researchers, research funders, and others who are trying to promote research addressing inadequately answered questions about the effects of treatment which you regard as important.

Encourage wider education about the effects of biases and the play of chance, and lobby your elected political representative and others about doing more to emphasize this in school curricula, beginning in primary schools.

Copyright © 2011 Imogen Evans, Hazel Thornton, Iain Chalmers and Paul Glasziou.
Bookshelf ID: NBK66191